Material.
'''
DFT (GGA-PBEsol) results for an optimized crystal structure of BaSr3Mn4O12. Values from VASP.

Structure (Quantum ESPRESSO input):
```
&SYSTEM
  ibrav = 0, nat = 20, ntyp = 4
/
ATOMIC_SPECIES
Ba 137.33 Ba.upf
Mn 54.94 Mn.upf
O 16.00 O.upf
Sr 87.62 Sr.upf
CELL_PARAMETERS angstrom
-1.9647 -4.6163 -2.1879
4.9871 0.0537 2.2547
-3.6151 -2.2768 8.0502
ATOMIC_POSITIONS crystal
Ba 0.3333 0.6667 0.5000
Mn 0.3333 0.6667 0.8636
Mn 0.6667 0.3333 0.3630
Mn 0.6667 0.3333 0.6370
Mn 0.3333 0.6667 0.1364
O 0.8170 0.1830 0.5000
O 0.3659 0.1830 0.5000
O 0.9958 0.4979 0.7553
O 0.6380 0.8190 0.0000
O 0.5021 0.0042 0.2447
O 0.1810 0.8190 0.0000
O 0.5021 0.4979 0.7553
O 0.5021 0.4979 0.2447
O 0.1810 0.3620 0.0000
O 0.8170 0.6341 0.5000
O 0.9958 0.4979 0.2447
O 0.5021 0.0042 0.7553
Sr 0.0000 0.0000 0.7638
Sr 0.0000 0.0000 0.2362
Sr 0.6667 0.3333 0.0000
```

## Properties
'''

Work order.
The reader should find "&SYSTEM" and "54.94 Mn.upf" in the data above, and type out these two lines and those between.

Reply.
&SYSTEM
  ibrav = 0, nat = 20, ntyp = 4
/
ATOMIC_SPECIES
Ba 137.33 Ba.upf
Mn 54.94 Mn.upf